Use this 5-question guide to assist in making decisions regarding your rights and accountabilities concerning use of a particular work. Each question needs to be considered before you copy material for teaching and learning or research purposes.
1. Is the material you wish to copy still protected by copyright?
The Canadian Copyright Act provides that copyright protection automatically exists in every original literary, dramatic, musical and artistic work when it is created. Protection lasts in most cases for the life of the author or creator and extends another 70 years after which the material is said to be in the “public domain”.
Copyright also subsists in certain “non-traditional” subject matter, such as performer’s performances, sound recordings, and broadcast signals, where the clock generally starts from the first performance of the work. Legislative amendments in 2015 increased the term of copyright in sound recordings and performers performances in sound recordings to 70 years following the first performance or recording release.
Much of the material that you will use in your research and teaching will fall under Canadian copyright protection.
See the Term of Copyright (Copyright Act s.6) and Term of Rights – (Copyright Act s.23) (sound recordings and performances).
2. Is the proposed use "substantial"?
Copyright only applies to the reproduction of the entire work “or a substantial part thereof” (Copyright Act 3 (1)). Copying that is not substantial therefore does not require permission or payment of fees or royalties. Here is where it can get complicated since what is deemed “substantial” is not explicitly defined by the law but rather is a matter of degree and context.
Substantiality takes in considerations including what it is you are reproducing, how it relates to the original work, the amount you plan to copy and what you will to do with it.
For the purposes of its 2015 decision regarding tariffs due to Access Copyright by the Provincial and Territorial Governments, the Copyright Board considered that 1-2 pages not to exceed about 2.5% of the whole work or about 1 page of a 40 page document, constitutes an insubstantial portion of a work. This can be used as a general amount guideline to determine “substantial” keeping in mind that more than the quantity reproduced should be considered.
For example the scholarly practice of citing a few sentences or even a few paragraphs in an article or essay, with attribution of course, would generally be considered insubstantial and not subject to copyright protection. On the other hand, reproducing a complete article from a journal or a few chapters from a book to use as supplementary reading for your class may be considered substantial and could be protected by copyright.
3. Does permission exist in the form of a licence?
a. Digital Licences
The Library has negotiated digital licences for the university community for a large volume of online articles and e-books. Often these are bundles of resources that are licensed through consortial agreements with our colleague institutions. Acceptable use is indicated in the terms of each licence, and what is permitted may not be uniform across all subscription packages.
b. Creative Commons Licences
The presence of a Creative Commons licence immediately alerts users of the work to the conditions for reproduction. Creative Commons offers a selection of licence options to offer creators varied levels of control over how they permit their work to be used. Each varies according to specific criteria creators place on their work, such as whether or not the work can be adapted or used commercially.
**Inserted here: data records**
'''
Entry 1:
VASP calculation (PBE-GGA) on a geometry-optimized Ga40GeMo8 structure.

Symmetry: R-3, No. 148

```
Ga40GeMo8
1.0
7.035 4.061 5.151
-7.035 4.061 5.151
0.000 -8.123 5.151
Ga Ge Mo
40 1 8
Direct
0.000 0.000 0.000
0.000 0.000 0.500
0.000 0.500 0.000
0.031 0.278 0.174
0.051 0.425 0.722
0.099 0.285 0.466
0.110 0.134 0.766
0.134 0.766 0.110
0.174 0.031 0.278
0.183 0.675 0.625
0.234 0.890 0.866
0.244 0.549 0.374
0.278 0.174 0.031
0.278 0.949 0.575
0.285 0.466 0.099
0.325 0.375 0.817
0.374 0.244 0.549
0.375 0.817 0.325
0.425 0.722 0.051
0.451 0.626 0.756
0.466 0.099 0.285
0.500 0.000 0.000
0.534 0.901 0.715
0.549 0.374 0.244
0.575 0.278 0.949
0.625 0.183 0.675
0.626 0.756 0.451
0.675 0.625 0.183
0.715 0.534 0.901
0.722 0.051 0.425
0.722 0.826 0.969
0.756 0.451 0.626
0.766 0.110 0.134
0.817 0.325 0.375
0.826 0.969 0.722
0.866 0.233 0.890
0.890 0.866 0.234
0.901 0.715 0.534
0.949 0.575 0.278
0.969 0.722 0.826
0.500 0.500 0.500
0.113 0.787 0.389
0.213 0.611 0.887
0.287 0.287 0.287
0.389 0.113 0.787
0.611 0.887 0.213
0.713 0.713 0.713
0.787 0.389 0.113
0.887 0.213 0.611
```

=====

Entry 2:
VASP calculation (PBE-GGA) on a geometry-optimized Al11P12O48 structure.

Symmetry: R-3c, No. 167

```
Al11P12O48
1.0
7.115 4.108 14.243
-7.115 4.108 14.243
0.000 -8.216 14.243
Al P O
22 24 96
Direct
0.034 0.364 0.695
0.114 0.114 0.114
0.123 0.750 0.377
0.136 0.466 0.805
0.195 0.864 0.534
0.250 0.623 0.877
0.305 0.966 0.636
0.364 0.695 0.034
0.377 0.123 0.750
0.386 0.386 0.386
0.466 0.805 0.136
0.534 0.195 0.864
0.614 0.614 0.614
0.623 0.877 0.250
0.636 0.305 0.966
0.695 0.034 0.364
0.750 0.377 0.123
0.805 0.136 0.466
0.864 0.534 0.195
0.877 0.250 0.623
0.886 0.886 0.886
0.966 0.636 0.305
0.014 0.671 0.067
0.067 0.014 0.671
0.097 0.703 0.761
0.171 0.514 0.567
0.203 0.597 0.261
0.239 0.903 0.297
0.261 0.203 0.597
0.297 0.239 0.903
0.329 0.933 0.986
0.403 0.739 0.797
0.433 0.829 0.486
0.486 0.433 0.829
0.514 0.567 0.171
0.567 0.171 0.514
0.597 0.261 0.203
0.671 0.067 0.014
0.703 0.761 0.097
0.739 0.797 0.403
0.761 0.097 0.703
0.797 0.403 0.739
0.829 0.486 0.433
0.903 0.297 0.239
0.933 0.986 0.329
0.986 0.329 0.933
0.010 0.144 0.620
0.015 0.036 0.214
0.018 0.313 0.833
0.019 0.215 0.188
0.029 0.415 0.891
0.036 0.214 0.015
0.085 0.471 0.609
0.085 0.596 0.805
0.096 0.585 0.305
0.109 0.971 0.585
0.120 0.644 0.510
0.131 0.257 0.640
0.140 0.757 0.631
0.144 0.620 0.010
0.167 0.982 0.687
0.175 0.686 0.291
0.186 0.675 0.791
0.187 0.482 0.667
0.188 0.019 0.215
0.195 0.915 0.404
0.209 0.814 0.325
0.214 0.015 0.036
0.215 0.188 0.019
0.243 0.369 0.860
0.257 0.640 0.131
0.285 0.481 0.312
0.286 0.464 0.485
0.291 0.175 0.686
0.305 0.096 0.585
0.312 0.285 0.481
0.313 0.833 0.018
0.314 0.709 0.825
0.325 0.209 0.814
0.333 0.813 0.518
0.356 0.490 0.880
0.360 0.869 0.743
0.369 0.860 0.243
0.380 0.990 0.856
0.391 0.915 0.529
0.404 0.195 0.915
0.415 0.695 0.904
0.415 0.891 0.029
0.464 0.485 0.286
0.471 0.609 0.085
0.481 0.312 0.285
0.482 0.667 0.187
0.485 0.286 0.464
0.490 0.880 0.356
'''
c. Open Access
Typically no restrictions are placed on access and in most cases re-use of material housed in an open access journal or on an open access platform is allowed.
4. Is the use allowed under a statutory exception?
b. Educational Institution Exception
c. Personal Use Exception
Individuals in the course of conducting research have additional latitude built into the Copyright Act. Like the research and private study purpose in the Fair Dealing exception, the Reproductions for Private Purposes exception allows copying by individuals for their own use or translating a work into a different format. Additional restrictions such as using a non- infringing copy of the original and not circumventing any digital locks placed on the original in order to to make the copy are required.
5. Do you need to secure copyright clearance?
When all other options enabling the reproduction of a work have been exhausted, seeking clearance from the copyright holder is required and must be received before reproducing the material.
Before initiating a process to seek clearance, it might be useful to determine if there is an alternate way to make the material available without reproducing it, which will satisfy your purposes. For example, many resources available online through one of our library digital collections can be linked from your course syllabus or embedded in a lesson within Blackboard. Linking is always an option.
It is best to secure clearance in writing. Keep a copy for your own records and indicate on the copy you make once cleared, that it is used with permission. Fees or tariffs or royalties might be required and it always adds time to the process, as much as an additional 6 to 8 weeks or more.
Sometimes clearance is not granted or cannot be secured in a timely fashion and choosing an alternative resource will be required.
The Bookstore is also available to assist with securing copyright clearance for course packs.
Adapted from Western University's Copyright Decision Map